**Work order:**
It remains to duplicate the entries further below from the line with "4.102" to the end without additions.
**Material:**
........
# UInTcIr
Simulated powder X-ray diffraction pattern, Cu Kα (λ = 1.5418 Å). Input: a cell relaxed with GGA-PBE.
Neutral-atom scattering factors, no anomalous dispersion.

Top 10 peaks for 2θ from 10° to 90°, in order of rising 2θ:
2θ (°), I/Imax
23.07, 11
26.71, 1
38.13, 100
45.04, 6
55.02, 17
60.44, 3
68.90, 36
73.74, 2
81.57, 11
86.18, 3

Crystal structure
a b c (Å): 4.721 4.721 4.721
angles (deg): 60.00 60.00 60.00
Positions (direct):
U: 0.000 0.000 0.000
In: 0.500 0.500 0.500
Tc: 0.250 0.250 0.250
Ir: 0.750 0.750 0.750

~~~~~

Structure and simulated PXRD pattern of Cs2CoH8C4O12 (a cell relaxed with GGA+U; Cu Kα).
Kinematic intensities with the Lorentz-polarization factor, no thermal factor.

Most intense lines, 2θ from 10° to 90°, in order of rising 2θ:
d/Å	I (rel.)
4.800	100
4.075	38
3.671	43
3.546	35
3.381	27
3.243	60
3.120	29
2.935	35
2.685	28
2.625	30

Crystal structure
```
54
Lattice="8.150 -3.569 0.000 8.150 3.569 0.000 -8.044 0.000 10.560" Properties=species:S:1:pos:R:3 pbc="T T T"
Cs -1.490 2.220 9.387
Cs 5.724 2.220 6.453
Cs 2.532 -2.220 4.107
Cs 9.746 -2.220 1.173
Co 2.117 2.431 7.920
Co 6.139 -2.431 2.640
H 4.769 2.478 2.752
H -4.182 0.265 9.169
H -0.160 -0.265 3.888
H 7.509 2.478 2.528
H 3.852 1.178 3.883
H 4.915 0.418 3.049
H 8.426 1.178 1.398
H 7.363 0.418 2.231
H 0.893 -0.418 8.329
H -0.170 -1.178 9.163
H 3.340 -0.418 7.512
H 4.404 -1.178 6.678
H 0.746 -2.478 8.032
H 8.416 0.265 6.672
H 12.438 -0.265 1.392
H 3.487 -2.478 7.809
C 2.020 1.324 5.277
C 0.918 0.581 6.072
C 4.940 -0.581 0.791
C 10.258 1.324 0.003
C -2.002 -1.324 10.557
C 3.316 0.581 9.769
C 7.338 -0.581 4.489
C 6.236 -1.324 5.283
O -4.522 0.181 8.232
O 2.637 2.257 5.887
O -0.499 -0.181 2.952
O 2.259 0.938 4.102
O 4.241 0.287 0.222
O 1.597 2.257 9.953
O 0.821 0.900 7.309
O 4.837 1.192 3.671
O 0.219 -0.287 5.502
O 7.441 1.192 1.609
O -1.763 -0.938 9.382
O 3.412 0.900 8.532
O 4.844 -0.900 2.029
O 10.019 0.938 1.178
O 0.814 -1.192 8.952
O 8.037 0.287 5.059
O 3.419 -1.192 6.889
O 7.434 -0.900 3.251
O 6.659 -2.257 0.607
O 4.014 -0.287 10.339
O 5.997 -0.938 6.459
O 8.755 0.181 7.609
O 5.619 -2.257 4.673
O 12.777 -0.181 2.329
```
........
**Completed:**
O 2.259 0.938 4.102
O 4.241 0.287 0.222
O 1.597 2.257 9.953
O 0.821 0.900 7.309
O 4.837 1.192 3.671
O 0.219 -0.287 5.502
O 7.441 1.192 1.609
O -1.763 -0.938 9.382
O 3.412 0.900 8.532
O 4.844 -0.900 2.029
O 10.019 0.938 1.178
O 0.814 -1.192 8.952
O 8.037 0.287 5.059
O 3.419 -1.192 6.889
O 7.434 -0.900 3.251
O 6.659 -2.257 0.607
O 4.014 -0.287 10.339
O 5.997 -0.938 6.459
O 8.755 0.181 7.609
O 5.619 -2.257 4.673
O 12.777 -0.181 2.329
```